Sunday, March 15, 2015

Promethean Flip Chart Fractions Version 2

Hardware software

Fractions Version 2

I think this flip chart is a good resource for a teacher to use inside the classroom, of course the teacher will need to download the hardware/software which is known as ActivInspire.  The teacher can go to to download different resources. This interactive resource has visuals that most students can relate too. It really gives the student a chance to see exactly what they are doing. It also brings in a lot more excitement to doing classwork.

Technology use based on problem solving

Misplaced data records >
<<<
The following is a theoretical powder diffraction line list of GdMoO5. It was derived from DFT lattice parameters and positions (GGA+U), using Cu Ka.
Intensities are scaled so that the largest is 1000.

Cell lengths 5.4016, 12.6508, 6.9776 Å; angles 90.00, 115.40, 90.00 degrees
Space group P2_1/c (No. 14)
Inequivalent atoms, fractional coordinates:
Gd (0.1446, 0.0554, 0.2886) (multiplicity 4)
Mo (0.4130, 0.1387, 0.8563) (multiplicity 4)
O (0.0026, 0.5793, 0.9519) (multiplicity 4)
O (0.2067, 0.0643, 0.9647) (multiplicity 4)
O (0.2671, 0.6524, 0.4220) (multiplicity 4)
O (0.2939, 0.2297, 0.2870) (multiplicity 4)
O (0.4877, 0.5734, 0.8392) (multiplicity 4)

Peak list (12 most intense, 2θ = 10–90°, by angle)
| index | 2theta | d (Å) | I_rel |
| --- | --- | --- | --- |
| 0 2 0 | 14.00 | 6.325 | 1000 |
| 1 1 0 | 19.50 | 4.553 | 617 |
| 1 2 -1 | 22.54 | 3.944 | 773 |
| 1 2 0 | 23.02 | 3.864 | 466 |
| 1 0 -2 | 26.27 | 3.392 | 551 |
| 1 1 -2 | 27.22 | 3.277 | 398 |
| 1 3 -1 | 27.57 | 3.236 | 573 |
| 1 3 0 | 27.96 | 3.191 | 494 |
| 0 0 2 | 28.38 | 3.145 | 894 |
| 1 2 1 | 30.98 | 2.886 | 466 |
| 0 4 1 | 31.67 | 2.825 | 568 |
| 2 1 -1 | 33.97 | 2.639 | 578 |

The following is a theoretical powder diffraction line list of Gd2Mo3O12. It was derived from DFT lattice parameters and positions (GGA+U), using Cu Ka.
Intensities are scaled so that the largest is 1000.

Cell lengths 7.6896, 11.5604, 11.6027 Å; angles 90.00, 109.16, 90.00 degrees
Space group C2/c (No. 15)
Inequivalent atoms, fractional coordinates:
Gd (0.1752, 0.1273, 0.0916) (multiplicity 8)
Mo (0.0000, 0.1215, 0.7500) (multiplicity 4)
Mo (0.1605, 0.3600, 0.5581) (multiplicity 8)
O (0.0114, 0.0420, 0.8890) (multiplicity 8)
O (0.0709, 0.2963, 0.9590) (multiplicity 8)
O (0.1133, 0.2132, 0.4143) (multiplicity 8)
O (0.1471, 0.4677, 0.4479) (multiplicity 8)
O (0.1983, 0.2103, 0.7814) (multiplicity 8)
O (0.2124, 0.4343, 0.7014) (multiplicity 8)

Peak list (12 most intense, 2θ = 10–90°, by angle)
| index | 2theta | d (Å) | I_rel |
| --- | --- | --- | --- |
| 1 1 0 | 14.41 | 6.146 | 260 |
| 0 0 2 | 16.17 | 5.480 | 191 |
| 0 2 1 | 17.34 | 5.113 | 176 |
| 1 1 2 | 24.56 | 3.625 | 214 |
| 2 2 -1 | 27.87 | 3.201 | 1000 |
| 0 2 3 | 28.91 | 3.088 | 821 |
| 0 4 0 | 30.94 | 2.890 | 257 |
| 2 0 2 | 33.79 | 2.653 | 164 |
| 2 0 -4 | 33.90 | 2.644 | 153 |
| 2 4 2 | 46.47 | 1.954 | 258 |
| 2 4 -4 | 46.55 | 1.951 | 252 |
| 4 0 -2 | 47.29 | 1.922 | 170 |

~~~~~

This entry pairs a crystal structure of CsCoSe2 with its computed powder diffractogram. Radiation: copper Kα. Structure: a PBE-relaxed structure.
Intensities are scaled so that the largest is 100.

Structure:
```
data_CsCoSe2
_cell_length_a 10.376
_cell_length_b 10.462
_cell_length_c 6.030
_cell_angle_alpha 90.00
_cell_angle_beta 90.00
_cell_angle_gamma 90.00
_space_group_name_H-M_alt 'C c c m'
_space_group_IT_number 66
_space_group_name_Hall '-C 2 2c'
loop_
_atom_site_label
_atom_site_fract_x
_atom_site_fract_y
_atom_site_fract_z
Cs1 0.250 0.250 0.000
>>>
Back to the article >

Technology helps students visualize underlying concepts in unfamiliar or abstract topics. Through the interactive software, students get support with really understanding the content. It also helps the student to stay focused on what it is they should be learning. Interactive technology can help guide independent student learning. Technology inside the class, help expose those students that may not have access to it at home.

Essential conditions for technology integration

Teachers, districts, local community and state need to share the same vision about technology integration. The world is integrating technology in almost every aspect of our lives.  Teachers  should be trained on how to use technology in instruction. Teachers need to know how to incorporate technology according to state standards.Technology has the most impact on achieving educational goals, therefore it is imperative to keep teachers trained in this area.

Software support tools

These tools help teachers and students produce materials on paper and online. Software can be downloaded, which makes it quicker and easier to get resources. The most popular interactive whiteboard are Prometheus Promethean ActivBoard and SMART Technology's Smart Board. These programs comes with a resource bank of images, graphics tools, and text tools that teachers can use to author programs in much the same way as they would use PowerPoint's program.


  1. That is a very helpful flip chart you have shared! You made some great points about the hardware/software to use with this flipchart. But, it also has open content. This is great for teachers because the software can be downloaded for free and, there are many flipcharts that can be downloaded for free. These free downloads make the software very accessible and useful for teachers.

  2. The flipchart you have shared would be a great resource for when teachers are presenting fractions to the class. I like how you said that the software is free, that let's teachers know that it indeed is affordable and can easily be used in the classroom. The only thing that I think you could add is a description of the flipchart so that we know what the flipchart does.

  3. I really enjoyed how you explained how technology can help students. It is very important to help students visualize underlying concepts. I also really enjoyed the flipchart that you chose and I love that you explained that the software is free. That will be more likely to make teachers want to get the software.
